"and also understands that his dedication and baptism identify him as one of Jehovah’s Witnesses in association with God’s spirit-directed organization can he acceptably undergo water immersion."
That sounds more like you are joining a club than accepting the salvation that Christ offers for those who believe in him as the saviour. Maybe they put that bit in to remind people that they are actually under contract to abide by WTBS rules however unsavoury they might be, including shunning ones family.
There is nothing about Christ. Or did you just not paste it?
JoinedPosts by Spectrum
Another stupid blunder by the WTBTS.
by gumby inmany times the wtbts are pretty good at changing poilicy without looking to obvious to the r&f as being sneaky and having a motive behind their changes.
normally they can even justify their change as scriptural to the unwary.
however, when they changed the baptismal questions, it was more obvious that there was "motive" behind the change and some exited the group because of the change.. this thread is for those who have never heard of the change before and were not aware of the current stance the wtbts has taken regarding baptism.
Disfellowshipping - Pros and Cons
by Spectrum inwhen i was a jw i remember believing that disfellowshipping was jws great and distinguishing feature.
great, because it got rid of the people that didn't take our righteous path seriously and wanted the temporary trappings of the world including all the sinful stuff and brought them back into our puritanical line if they genuinely repented.
the congregation therefore maintained a high christain standard.
_Between two parts of the page: data records_
/*
Density functional theory data (the ωB97M-V functional and the def2-TZVPD basis) for C17H26N6O as an isolated structure at a distorted geometry.

The energy is -29021.74287 eV. The value obtained for the LUMO energy is -0.215 eV. The frontier orbital gap comes out at 8.0 eV. The calculation puts the energy above the lowest of the compared OMol25 structures with the same formula, charge and spin at 17.6640 eV.

Positions of all 50 atoms, in Å:
C (-3.836, -0.680, -1.690)
C (-2.922, -1.700, -1.525)
C (-2.853, -2.312, -0.224)
N (-1.760, -2.149, 0.558)
C (-0.573, -2.829, -0.162)
C (0.554, -2.467, 0.950)
N (0.666, -1.124, 1.482)
C (-0.525, -0.494, 1.717)
C (-1.722, -0.678, 0.772)
H (-2.554, -0.386, 1.315)
H (-1.553, 0.084, -0.034)
H (-0.513, 0.633, 2.017)
H (-0.695, -1.281, 2.628)
C (1.523, 0.015, 0.521)
C (1.013, 0.104, -1.049)
N (0.934, -0.813, -1.752)
N (0.591, -0.339, -2.917)
N (0.271, 0.989, -2.669)
N (0.696, 1.398, -1.529)
C (0.390, 2.657, -0.793)
C (-0.850, 2.696, -0.146)
C (-1.084, 3.069, 1.427)
C (-2.366, 3.035, 1.571)
C (-2.997, 2.666, 0.494)
O (-2.005, 2.655, -0.876)
H (-3.871, 2.493, 0.020)
H (-2.845, 2.900, 2.447)
H (-0.159, 3.361, 1.950)
H (1.221, 2.847, -0.214)
H (0.360, 3.239, -1.701)
C (2.997, -0.371, 0.380)
C (3.849, 0.639, -0.164)
C (5.376, 0.285, -0.055)
H (5.654, -0.196, 0.889)
H (5.450, -0.651, -0.761)
H (6.012, 1.275, -0.366)
H (3.602, 0.991, -1.209)
H (3.765, 1.537, 0.904)
H (3.086, -1.281, -0.234)
H (3.164, -0.671, 1.526)
H (1.514, 0.820, 1.154)
H (1.376, -2.631, 0.628)
H (0.396, -3.006, 1.848)
H (-0.769, -3.874, -0.087)
H (-0.502, -2.171, -1.076)
H (-3.715, -2.179, 0.405)
H (-2.962, -3.594, -0.313)
H (-2.240, -2.170, -2.234)
H (-3.861, -0.079, -2.828)
H (-4.726, -0.261, -0.992)

Atom charges from the natural (NBO) analysis, given in e for atoms 1 to 8: number 1, C, carries -0.395; number 2, C, carries -0.252; number 3, C, carries -0.232; number 4, N, carries -0.452; number 5, C, carries -0.277; number 6, C, carries -0.196; number 7, N, carries -0.405; number 8, C, carries -0.219

=====

Density functional theory data (the ωB97M-V functional and the def2-TZVPD basis) for C17H26N7O6P as an isolated structure at a distorted geometry.

The energy is -50041.23137 eV. The value obtained for the LUMO energy is -1.704 eV. The frontier orbital gap comes out at 5.2 eV.

Positions of all 57 atoms, in Å:
O (0.251, 7.984, -0.960)
N (0.786, 6.899, -0.868)
C (0.295, 5.619, -0.801)
C (1.403, 4.741, -0.859)
N (2.559, 5.460, -0.833)
O (2.184, 6.781, -0.883)
C (1.201, 3.332, -0.935)
N (2.168, 2.300, -1.011)
O (3.344, 2.473, -0.631)
O (1.815, 1.142, -1.424)
C (-0.243, 2.814, -0.857)
C (-1.280, 3.828, -1.122)
N (-2.639, 3.609, -1.226)
O (-3.326, 2.596, -1.305)
O (-3.206, 4.931, -1.294)
N (-2.236, 5.865, -1.067)
C (-1.039, 5.176, -0.927)
H (-0.235, 1.862, -1.481)
C (-3.605, -3.120, 0.336)
C (-2.329, -2.716, 1.067)
C (-2.618, -2.196, 2.487)
C (-1.336, -3.899, 1.141)
N (-1.582, -1.615, 0.405)
C (-1.632, -1.456, -1.063)
C (-0.504, -2.209, -1.727)
*/
Country Girl,
I wasn't really talking about Ozzie per se I was talking about all of us including Ozzie.
I take your point that if you are raised in the Org then you have no choice and the contract is via proxy of your parents. Parents decide a lot of things for us when we are young, this is not unique. I was forced to do a lot of things when I was young but going to the meetings was not one of them so I don't know how it feels for you. When I did go I went voluntarily and I was still bored out of my skull so I wouldn't volunteer for another 2 months.
What surprises me is that my sister's children seem to enjoy it. That defies belief considering how lazy they are. Maybe they escape doing school homework!
The main point for this thread is really for those that join later in life with a lucid mind then decide it is not for them. Their personality doesn't suit this rigid regime. They prefer to smoke or fornicate or whatever else they get up to that breaks their rules.
At the time I prefered not to have these people as part of the Org as it brought the standard right down and made a mockery of the claim that we were God's path for salvation. Although I had nothing against these people in my heart I thought that they had lost their salvation and were now worldly. In this sense I was in total agreement with disfellowshipping.
Unrelated to this text: calculated molecules.
┌──
## one
2 unconnected molecules or ions with the total composition CH2FIS, computed with ωB97M-V with the def2-TZVPD basis set.

Results
LUMO level (alpha / beta) = -0.1 / -2.7 eV

```
6
Properties=species:S:1:pos:R:3:mulliken_charge:R:1
C 0.8385 0.8642 -0.1651 -0.174
F 1.4638 2.0193 0.1389 -0.176
S -2.5697 -1.0692 -0.0542 -0.173
I 1.9021 -0.9258 -0.1423 0.111
H -0.2167 0.7644 -0.0810 0.267
H -1.4179 -1.6530 0.3036 0.144
```

=====

## two
A molecular structure, CH2FIS, computed with ωB97M-V with the def2-TZVPD basis set.

Results
LUMO level = -0.5 eV

```
6
Properties=species:S:1:pos:R:3:mulliken_charge:R:1
C 0.0641 0.4673 0.0652 -0.184
F 0.2759 1.0471 1.2937 -0.178
S 1.3217 -0.9328 -0.2681 -0.131
I -2.0789 -0.1605 -0.0507 0.051
H 0.0840 1.4747 -0.8270 0.281
H 0.3332 -1.8957 -0.2132 0.160
```

=====

Each structure's energy above the most stable one, in kcal/mol: one 51.8; two 0.0.

=====

## one
2 unconnected molecules or ions with the total composition C8H14NO, computed with ωB97M-V with the def2-TZVPD basis set.

Results
Net charge = +1
LUMO level = -4.9 eV

```
24
Properties=species:S:1:pos:R:3:mulliken_charge:R:1
C -3.2001 1.4107 -1.2716 -0.372
C -1.9877 1.9638 -0.7607 -0.203
C -2.8982 0.1001 -1.5422 -0.278
C 1.5957 1.1369 -0.3056 -1.327
C 1.7122 0.0815 2.0783 -1.440
C 0.5673 -2.4468 0.7566 -1.208
C 1.2109 -1.3124 -0.1094 -0.060
C 1.5517 0.0142 0.5671 1.095
N -1.0356 1.1164 -0.9572 -0.143
O -1.5746 -0.0843 -1.3404 -0.226
H -4.0767 2.0131 -1.3351 0.380
H -1.8544 2.9771 -0.6319 0.436
H -3.3868 -0.6897 -2.1629 0.362
H 0.4579 1.3522 -0.6203 0.476
H 2.1148 0.8790 -1.2704 0.349
H 2.1606 1.9718 0.1920 0.459
H 2.5146 -0.5870 2.4355 0.374
H 0.7023 -0.2299 2.5222 0.356
H 1.9394 1.0393 2.4807 0.432
H 0.6658 -3.4022 0.3525 0.391
H 0.8935 -2.4460 1.7494 0.348
H -0.5396 -2.1991 0.6791 0.264
H 2.0269 -1.7847 -0.6492 0.393
H 0.4400 -0.8741 -0.8566 0.140
```

=====

## two
2 unconnected molecules or ions with the total composition C8H14NO, computed with ωB97M-V with the def2-TZVPD basis set.

Results
Net charge = +1
LUMO level (alpha / beta) = -3.8 / -3.8 eV

```
24
Properties=species:S:1:pos:R:3:mulliken_charge:R:1
C -0.4265 2.2085 0.4562 -0.438
C 0.9308 0.2005 -1.1143 0.507
C -2.5666 -0.3000 0.0217 -0.761
C -1.9163 -1.1844 1.0976 -0.395
C -1.2352 0.0342 0.6199 0.317
C 2.7047 -1.2231 -2.2644 -1.116
C 0.0987 1.1404 2.4473 -1.127
C 1.2407 -1.0742 -1.6382 -0.223
N -0.6483 1.1372 1.1189 0.153
O 1.1438 1.3105 -0.8325 -0.335
H 0.1233 2.9261 0.9554 0.392
H -1.0443 2.3120 -0.5169 0.280
H -2.6190 -0.6931 -0.9765 0.188
H -3.4251 0.2982 0.2503 0.239
H -2.2244 -1.0900 2.2199 0.238
H -1.3885 -2.2143 0.8760 0.185
H 3.4593 -1.9339 -1.8210 0.315
H 3.1649 -0.2832 -2.5922 0.357
H 2.5215 -1.6902 -3.1844 0.354
H 0.3617 0.1084 2.5694 0.353
H -0.5805 1.5442 3.0669 0.396
H 1.0683 1.6216 2.2856 0.464
H 0.9684 -1.7694 -0.8053 0.284
H 0.2887 -1.3861 -2.2393 0.371
```

=====

Each structure's energy above the most stable one, in kcal/mol: one 0.0; two 45.6.

=====

## one
└──
I think that if you get kicked out for blatant misconduct, everyone more or less knows the rules, then there should be no hard feelings over the decision.
"You need to get a grip. Would you hold those of us that were FORCED into this organization through no desire of our own to the same standard? Why should those of us that were FORCED be FORCED to maintain a certain standard after we find out that what we were forced INTO was a big farce?"
Good point, and the answer is don't get yourself into a contract that doesn't suit you. If a bank gave you a piece of paper that in the small print said your soul belongs to God but your ar*se belongs to us would you sign, be worked to the bone for no salary, then complain about your woeful situation they put you in. Nobody in the right mind would do that.
A good question is, how many people don't know what they are getting themselves into?
I think that JWs have gone too far with dealing with disfellowsipped people. They are treated like lepers this is plain wrong. I find this really unchristain which in Christ's eyes it is unacceptable. The JWs have to watch out lest they find themselves dangling over gehena. -
The Unkindest Cut: Hateful Words from JWs that Show Their True Colours
by Scully ini decided to start this topic when ozziepost shared the experience of a bethel representative telling him and mrs. ozzie "and don't forget, we've got your children!
- - -
C24H58O29 | ωB97M-V/def2-TZVPD

Geometry as XYZ:
```
111
C24H58O29, DFT ωB97M-V/def2-TZVPD
O -5.750 -1.437 1.310
H -5.371 -1.987 2.012
H -5.409 -1.961 0.549
O -4.522 -2.768 -1.053
H -3.654 -2.662 -0.586
H -4.267 -2.881 -1.989
O -5.189 1.630 2.026
H -5.796 1.416 2.714
H -5.264 0.840 1.489
O -3.770 -3.475 -3.767
H -3.947 -4.040 -4.508
H -3.078 -2.877 -4.067
O -5.230 4.584 1.811
H -5.160 3.624 1.759
H -5.801 4.727 2.534
C 4.838 -4.037 0.694
O 3.703 -4.842 0.268
C 3.093 -4.424 -0.881
O 3.463 -3.580 -1.637
O 1.997 -5.195 -1.122
C 1.901 -6.542 -0.481
H 4.971 -4.170 1.766
H 4.813 -2.960 0.456
H 5.698 -4.429 0.297
H 2.736 -7.290 -0.552
H 0.987 -6.955 -0.950
H 1.675 -6.310 0.604
C 3.198 3.683 2.185
O 1.877 3.913 1.869
C 0.912 3.086 2.426
O 1.060 2.325 3.356
O -0.263 3.179 1.776
C -0.474 4.037 0.648
H 3.279 3.441 3.285
H 3.830 4.532 2.028
H 3.542 2.885 1.525
H -1.570 4.009 0.607
H -0.097 3.629 -0.236
H -0.051 5.008 0.832
C 3.403 -0.237 -1.003
O 4.476 0.211 -1.806
C 4.127 1.389 -2.332
O 3.279 2.128 -2.006
O 5.002 1.672 -3.318
C 4.796 3.041 -3.741
H 3.255 0.357 -0.108
H 3.594 -1.287 -0.712
H 2.436 -0.180 -1.575
H 3.808 3.157 -4.256
H 5.537 3.170 -4.493
H 4.950 3.740 -2.892
C -0.172 -4.185 -3.028
O 0.416 -2.941 -2.787
C -0.126 -1.927 -3.437
O -1.086 -1.977 -4.149
O 0.481 -0.767 -3.132
C -0.035 0.374 -3.844
H 0.566 -4.823 -3.569
H -1.095 -4.086 -3.459
H -0.356 -4.598 -2.051
H -1.120 0.194 -3.996
H 0.401 0.395 -4.833
H 0.079 1.288 -3.329
C 4.304 -0.196 2.587
O 5.228 -0.764 1.597
C 5.989 0.173 0.982
O 6.009 1.369 1.234
O 6.725 -0.435 0.065
C 7.559 0.378 -0.686
H 4.206 -1.009 3.289
H 3.424 0.188 2.028
H 4.776 0.647 2.962
H 8.639 0.250 -0.458
H 7.244 1.435 -0.656
H 7.409 0.022 -1.749
C -5.077 2.234 -1.813
O -4.664 3.625 -2.000
C -3.403 3.775 -2.419
O -2.659 2.907 -2.731
O -2.995 5.078 -2.438
C -3.588 6.002 -1.526
H -4.736 1.887 -0.815
H -4.644 1.617 -2.673
H -6.137 2.210 -1.794
H -2.834 6.379 -0.858
H -4.259 5.587 -0.848
H -4.126 6.765 -2.124
C -4.919 -0.544 5.777
O -4.571 -0.949 4.473
C -3.386 -0.551 3.916
O -2.879 -1.269 3.096
O -2.811 0.457 4.478
C -1.501 0.823 3.793
H -4.791 0.560 5.892
H -4.392 -1.133 6.513
H -6.009 -0.789 5.765
H -1.005 1.562 4.416
H -1.574 1.226 2.774
H -0.945 -0.072 3.760
C -1.782 0.322 -0.667
O -0.851 -0.471 0.099
C -0.948 -1.738 0.287
O -1.827 -2.498 -0.141
O -0.042 -2.140 1.234
C -0.343 -3.351 2.022
H -2.828 0.146 -0.272
H -1.890 -0.027 -1.699
H -1.412 1.333 -0.495
H -1.407 -3.535 2.075
H -0.001 -3.158 3.039
H 0.196 -4.159 1.563
```

charge = 0
spin multiplicity = 1

---

C24H59BFIN3OP | ωB97M-V/def2-TZVPD

Geometry as XYZ:
```
91
C24H59BFIN3OP, DFT ωB97M-V/def2-TZVPD
C 3.139 -5.456 -0.044
P 2.695 -5.899 -1.824
O 3.596 -7.272 -2.326
B 0.816 -6.332 -1.781
C 0.324 -7.846 -2.018
C 0.062 -8.652 -0.701
F 0.064 -10.032 -0.995
C -0.169 -5.069 -1.499
C -1.614 -5.469 -1.049
C -2.682 -5.695 -2.183
I -1.983 -5.650 -4.222
H 4.200 -5.665 0.213
H 2.926 -4.364 0.084
H 2.432 -5.979 0.643
H 3.929 -7.011 -3.191
H -0.571 -7.956 -2.673
- - -
it's important for us to hear these experiences and to share them with each other.
it helps us tear down the mistaken beliefs that the incidents that happen to us are not isolated ones, but are in fact par for the course when one parts ways with the jws and wts.
One JW was spreading rumours that my brother was lusting after our blood sister, she had told my best friend who immediately came and told me. Before telling me he asked me to promise not to say anything to this person. So I promised. As it dawned on me what he was saying I went ballistic. I asked my friend to release me from the promise but he wouldn't. If she was standing their infront of me at that moment I would have beaten her to a pulp. It could have ruined my whole family's reputation.
She came up with this story because my brother had apostasised purely because he realised that they were not God's people. If this had got to my sisters ears it would have really damaged her well being. Thankfully whoever heard kept it to themselves because it never reached my sister's ears. I think if I remember rightly my friend warned her to cut it out so there was damage.
I met this miserable sh*t-for-brains JW a few years after I had left the Org and was told by her that I was going to die at armageddon as was her apostate son. Her son by the way couldn't stand her. She really f*ck him up. The sad thing is that early on I thought that he was the crazy one but it was quite the opposite.
I apologise for my bad language. -
Disfellowshipping - Pros and Cons
by Spectrum inwhen i was a jw i remember believing that disfellowshipping was jws great and distinguishing feature.
great, because it got rid of the people that didn't take our righteous path seriously and wanted the temporary trappings of the world including all the sinful stuff and brought them back into our puritanical line if they genuinely repented.
the congregation therefore maintained a high christain standard.
Thanks for that analysis I can now see where JWs get there shunning laws from. I think you have explained it clearly. From your analysis which I agree with they have gone too far. You also mention that it is a little unclear as to how exactly to view dissenters because some of the passages are stronger in condemnation than others. Obviously the JWs went for the full on slap them into submission interpretation.
I think if you want to maintain a certain standard your going to have to go along with the rules of that organisation. You entered into that contract because you were enticed by the high standard that you witnessed on entering. And it wasn't even a bog standard contract, it was a baptism. To then say that, I don't agree with your standards, they are too this or too that, I find disingenuous.
However having said that, the contract must be fair. What they expect of you they must first apply to themselves. Any judgement must be done in the spirit of Christ. How would Jesus have handled this situation rather than how would OT Jehovah.
We can't consider Christ a pushover either and let people behave unchristian like with impunity otherwise JWs might aswell merge with the Catholics.
I would have had a serious problem if I was told not to talk to friends. In fact I think that I had already made my mind up not to follow this rule at least for friends. I remember one idiotic meddling JW say to me, "did you know your friend was disfellowshipped", I said "yes, i was talking to him yesterday", then she went into a song and a dance about how i should not talk to him. I can't remember my reaction well but I think I just laughed it off.
I don't know what to say regarding your experience. I know in my congregations you would have got a couple of warnings then got kicked out. It seems you were an anomaly! The thing is what you did didn't make you a bad person but a bad JW, uncomforist therefore didn't belong in that club. So there should be no hard feelings. Am i right?
For me this thread is an exercise to find out whose overdoing what. Some of the JW shenanigans are really bad but some of the counter accusation might not merit serious thought. -
Disfellowshipping - Pros and Cons
by Spectrum inwhen i was a jw i remember believing that disfellowshipping was jws great and distinguishing feature.
great, because it got rid of the people that didn't take our righteous path seriously and wanted the temporary trappings of the world including all the sinful stuff and brought them back into our puritanical line if they genuinely repented.
the congregation therefore maintained a high christain standard.
I'm too tired now to give you a well thought out answer. I'll be back on the job in a few hours. It won't be a yeah it's all bad. -
Disfellowshipping - Pros and Cons
by Spectrum inwhen i was a jw i remember believing that disfellowshipping was jws great and distinguishing feature.
great, because it got rid of the people that didn't take our righteous path seriously and wanted the temporary trappings of the world including all the sinful stuff and brought them back into our puritanical line if they genuinely repented.
the congregation therefore maintained a high christain standard.
When I was a JW I remember believing that disfellowshipping was JWs great and distinguishing feature.
Great, because it got rid of the people that didn't take our righteous path seriously and wanted the temporary trappings of the world including all the sinful stuff and brought them back into our puritanical line if they genuinely repented. The congregation therefore maintained a high christain standard.
Distinguishing, because no other religion banished their followers for unchristian conduct. You could do everything and anything and still be a catholic or orthodox christian worthy in the eyes of the priest.
Disfellowsipping, for me, gave a lot of trust and credibility to this organisation and convinced me that it was the closest to God's truth compared to the other religions that had a blase attitude to severe misconduct. It was like they didn't take the bible seriously, 20 hale Marys and your back on tract for paradise. -
why do so many religions claim that Jesus is God?
by evergreen inhi everyone, i have often wondered why so many religions view jesus as being god.
every website i look up claiming to be the christian faith strongly believe that this is the case.. i mean the actual trinity doctrine didnt come about untill about the 3rd or 4th century and was originally the catholic church that brought it about.
although jehovahs witnesses seem to push jesus into the background a lot which is something that has always troubled me.
Little Toe,
"I'm afraid you show a woefully inadequate knowledge of Christendom."
That's true.
"I suspect you got it from the JWs, as did most of us."
Unfortunately that's true too.
"Not all Christian denominations are Paedo-baptist."
I take it your not talking about those that wish to convert. Maybe Baptists wait.
"Many Christian denominations evangelise."
How? The ones I know expect you to turn up to their church. If that's evangelising then JWs are doing a better job. Yeah they teach wrong doctrines but who doesn't.
" My personal conviction is that a personal relationship with Christ is what makes a Christian"
This is the best form of Christianity. Would you preach Gods word or each to his own? -
why do so many religions claim that Jesus is God?
by evergreen inhi everyone, i have often wondered why so many religions view jesus as being god.
every website i look up claiming to be the christian faith strongly believe that this is the case.. i mean the actual trinity doctrine didnt come about untill about the 3rd or 4th century and was originally the catholic church that brought it about.
although jehovahs witnesses seem to push jesus into the background a lot which is something that has always troubled me.
"Christendom has made the witnesses look like pee-ons when it comes to missionaries in these countries. Unless the country and people can further Brooklyns pocketbooks, their missionaries do not recieve the backing christendom gives it's missionaries. At list christendoms missinaries are supported by other christians, not a meager allowance along with your OWN funding like the dubs.."
That's interesting. Can't argue with you because I don't have enough info. I knew there was the odd missionary sites here and there but I thought that the help they gave was secular like mother Teresa - Schools, books hospitals etc. Christ always spoke about feeding the soul.
"not a meager allowance along with your OWN funding like the dubs.."
What allowance did the apostles have? Isn't the vatican the richest state in the world with it's own bank? -
Conspiracy freaks, here`s one for you!
by Hellrider inhttp://profindsearch.com/forum/viewtopic.php?t=79&postdays=0&postorder=asc&start=15 .
the picture is from the watchtower of february 15, 1983. in case i`m not succesful in putting the picture in here, here`s a page you can watch it... .
What do you think of the so called subliminal pictures in JW literature? Is it a real phenomenon or coincidence? -
why do so many religions claim that Jesus is God?
by evergreen inhi everyone, i have often wondered why so many religions view jesus as being god.
every website i look up claiming to be the christian faith strongly believe that this is the case.. i mean the actual trinity doctrine didnt come about untill about the 3rd or 4th century and was originally the catholic church that brought it about.
although jehovahs witnesses seem to push jesus into the background a lot which is something that has always troubled me.
"I still maintain that if Jesus was God, he would have made it very clear. "
I still think he would have got clobbered if he did!! Nobody was protecting him.
"Jesus never once said he was God."
Don't know if he said it in a round about way but he was careful of the blaspheme laws.